== Entries ==
********
# Tb7ErTl3

A geometry-optimized Tb7ErTl3 structure (GGA-PBE, Alexandria via LeMat-Bulk).

Computed properties:
formation energy: 0.300 eV/f.u.
SG: C2/m, No. 12
crystal system: monoclinic

abc: 8.0195 8.0195 5.9626
angles: 107.20 107.20 94.26
Closest atoms and distances in Å follow each position.
Element x y z (fractional)
Tb: 0.0000 0.0000 0.0000  2 Er 2.98, 2 Tl 3.11
Tb: 0.1054 0.5304 0.3007  3 Tl 3.09-3.21, 2 Tb 3.35-3.42
Tb: 0.3284 0.3284 0.8457  4 Tl 3.24-3.52, 1 Er 3.27, 1 Tb 3.38
Tb: 0.4696 0.8946 0.6993  3 Tl 3.09-3.21, 2 Tb 3.35-3.42
Tb: 0.5304 0.1054 0.3007  3 Tl 3.09-3.21, 2 Tb 3.35-3.42
Tb: 0.6716 0.6716 0.1543  4 Tl 3.24-3.52, 1 Er 3.27, 1 Tb 3.38
Tb: 0.8946 0.4696 0.6993  3 Tl 3.09-3.21, 2 Tb 3.35-3.42
Er: 0.0000 0.0000 0.5000  4 Tb 2.98-3.27
Tl: 0.2645 0.7355 0.0000  7 Tb 3.11-3.24
Tl: 0.5000 0.5000 0.5000  6 Tb 3.09-3.33
Tl: 0.7355 0.2645 0.0000  7 Tb 3.11-3.24



# TbErTl

A geometry-optimized TbErTl structure (GGA-PBE, Alexandria via LeMat-Bulk).

Computed properties:
E above lowest polymorph: 223 meV per atom
formation energy: -0.099 eV/f.u.
SG: F-43m, No. 216
crystal system: cubic

abc: 5.1731 5.1731 5.1731
angles: 60.00 60.00 60.00
Closest atoms and distances in Å follow each position.
Element x y z (fractional)
Tb: 0.0000 0.0000 0.0000  4 Tl 3.17
Er: 0.5000 0.5000 0.5000  4 Tl 3.17
Tl: 0.7500 0.7500 0.7500  4 Er 3.17, 4 Tb 3.17



# Tb4ErTl2

A geometry-optimized Tb4ErTl2 structure (GGA-PBE, Alexandria via LeMat-Bulk).

Computed properties:
E above lowest polymorph: 44 meV per atom
formation energy: 0.719 eV/f.u.
SG: C2/m, No. 12
crystal system: monoclinic

abc: 6.2674 6.2674 6.1070
angles: 93.97 93.97 114.92
Closest atoms and distances in Å follow each position.
Element x y z (fractional)
Tb: 0.0000 0.5000 0.5000  2 Er 3.13, 4 Tb 3.32-3.37, 2 Tl 3.37
Tb: 0.2087 0.7913 0.0000  6 Tb 3.32-3.70, 4 Tl 3.46-3.67
Tb: 0.5000 0.0000 0.5000  2 Er 3.13, 4 Tb 3.32-3.37, 2 Tl 3.37
Tb: 0.7913 0.2087 0.0000  6 Tb 3.32-3.70, 4 Tl 3.46-3.67
Er: 0.0000 0.0000 0.5000  4 Tb 3.13, 2 Tl 3.41
Tl: 0.4111 0.4111 0.2286  2 Tl 3.18-3.38, 4 Tb 3.37-3.46, 1 Er 3.41
Tl: 0.5889 0.5889 0.7714  2 Tl 3.18-3.38, 4 Tb 3.37-3.46, 1 Er 3.41



# Tb4ErTl4

A geometry-optimized Tb4ErTl4 structure (GGA-PBE, Alexandria via LeMat-Bulk).

Computed properties:
formation energy: -1.505 eV/f.u.
SG: P4_2/n, No. 86
crystal system: tetragonal
********

== Exercise ==
Work out how many lines above have the word "Tb4ErTl2" in them; a number is enough.

== Result ==
2